Join an LCM Small Group!


January 25
Event Categories:

We are thrilled to announce that this spring semester, our community is having weekly Bible Studies/small groups and we hope you commit to joining one! 

God created us for connection and belonging, and to find these in God, certainly, but to also find connection and belonging amongst each other. Our community has blossomed and grown this past year and we want to offer a chance for you all to connect meaningfully, to get to know good and interesting people, to pray together, and to explore and wrestle with scripture with other students!

To join a Bible Study, fill out the form below and our Bible Study leaders will be in touch with you! Some of these will be staff led and some will be led by student leaders. You can read the descriptions below, and pick the time that works best in your schedule — our ideal commitment is that you can attend your group 3x a month, so we can get to know one another and build community, while understanding that life and school sometimes get in the way.

Molecular data from another source follow.
┌──
DFT (ωB97M-V/def2-TZVPD) results for a molecular structure, C23H17N6O2STi.

Element x y z (Å)
Ti 0.56 -0.66 -0.71
O -2.97 3.81 -0.87
C -3.67 2.70 -1.22
C -5.05 2.83 -1.31
C -5.82 1.71 -1.57
C -5.25 0.45 -1.68
C -3.88 0.35 -1.61
C -3.05 1.44 -1.43
C -1.61 1.14 -1.41
O -1.28 -0.13 -1.42
N -0.69 2.10 -1.41
N 0.52 1.52 -1.33
C 1.54 2.02 -1.93
C 2.71 1.16 -2.04
C 3.91 1.57 -2.58
C 4.97 0.68 -2.64
C 4.81 -0.64 -2.23
C 3.56 -0.97 -1.74
N 2.54 -0.10 -1.64
H -2.03 3.60 -0.88
H -5.49 3.81 -1.21
H -6.88 1.84 -1.63
H -5.87 -0.43 -1.84
H -3.43 -0.63 -1.71
H 1.47 2.99 -2.42
H 4.04 2.59 -2.87
H 5.97 0.97 -2.98
H 5.59 -1.38 -2.30
H 3.31 -1.96 -1.37
N 0.50 -2.40 3.27
C 0.51 -1.08 3.72
C 0.32 -0.49 4.97
C 0.41 0.88 5.01
C 0.65 1.66 3.87
C 0.76 1.09 2.61
C 0.69 -0.30 2.56
N 0.73 -1.10 1.45
C 0.65 -2.33 1.93
C 0.60 -3.43 0.89
C 0.55 -4.75 1.00
S 0.46 -5.46 -0.56
C 0.47 -3.93 -1.22
N 0.57 -2.91 -0.38
H 0.50 -3.23 3.86
H 0.21 -1.11 5.85
H 0.28 1.36 5.96
H 0.69 2.73 3.96
H 0.90 1.62 1.68
H 0.60 -5.39 1.87
H 0.42 -3.80 -2.30

Values from the calculation:
2S+1: 3
Largest force on an atom (eV/A): 2.5
Net charge: +1
Energy (eV): -71109.938


The following is a DFT calculation (ωB97M-V/def2-TZVPD) of 2 unconnected molecules or ions with the total composition C5H13NO.

```
20
Properties=species:S:1:pos:R:3:forces:R:3:mulliken_charge:R:1
H 0.19219 1.36034 -0.91405 -0.48 -0.01 0.17 0.4749
H -1.08641 -1.55945 1.51223 0.21 -0.27 0.39 0.3659
H 1.15102 0.20086 -2.80076 -0.03 -0.08 0.02 0.3330
C -0.12283 -1.25111 1.10616 -0.28 0.67 -0.10 -0.6137
C 0.46305 1.08150 1.25647 -1.21 0.22 2.02 -0.4705
C 0.44607 0.61519 -0.15683 0.73 -0.32 -1.43 -0.9353
H 1.05609 1.91580 1.62882 0.59 -0.17 -0.54 0.4041
O 0.90600 0.22977 -3.73097 -0.01 0.05 0.00 -0.6279
H 1.69687 -0.51144 2.06011 0.17 -0.05 0.19 0.3034
H -1.76767 -0.03877 -1.62333 -0.17 -0.15 -0.04 0.2622
H -0.56058 1.39469 1.52812 0.07 0.10 -0.39 0.2244
H 1.42958 0.24214 -0.49211 0.18 0.24 0.40 0.2510
H -2.22137 0.63415 -0.07327 0.12 0.03 0.18 0.3221
H 0.53546 -2.10845 0.95164 -0.33 -0.19 -0.22 0.2502
H 0.20011 -0.28456 3.01098 0.27 0.39 0.18 0.3131
C 0.64898 -0.23182 2.02205 -0.61 -0.56 -0.60 -0.6117
H 1.73807 0.18060 -4.21012 0.00 0.00 0.00 0.3053
N -0.43057 -0.55209 -0.15175 0.82 -0.09 -0.30 -0.0196
C -1.78259 -0.25704 -0.55419 -0.30 0.52 0.10 -0.8895
H -2.49149 -1.06030 -0.36921 0.25 -0.33 -0.02 0.3584
```
Forces are in eV/Å.

**Structure (SMILES)**: CN1CCCC1.O
**Orbital gap**: 0.3346 Eh
**LUMO**: 0.92 eV
**DFT total energy**: -8932.621 eV

***

The following is a DFT calculation (ωB97M-V/def2-TZVPD) of 2 unconnected molecules or ions with the total composition C3H2Br2N3O2.

```
12
Properties=species:S:1:pos:R:3:forces:R:3:mulliken_charge:R:1
O 0.16945 -2.19565 1.83805 0.35 -0.56 -0.05 -0.4141
Br 2.97679 1.53796 -2.70052 -2.45 -1.22 2.17 0.0193
C 0.98656 0.56596 -0.97070 4.50 0.62 -1.44 0.0862
N -0.77669 -1.56733 1.62086 1.38 0.96 -0.25 1.2585
H 1.82830 -0.94042 0.28573 1.01 -1.27 0.77 0.4494
└──

Let us know if you have any questions and we can’t wait to see you all next week at the start of the term!

Weekly Bible Studies
Sign up by Sat., January 25!
This semester, we will be hosting weekly Bible Studies at various times and places on campus! Each Bible Study will be going through the same Bible stories together, so choose the general time and location that fits in your schedule. While the exact times aren’t decided yet, they will likely meet sometime between 5 & 7pm.

  • Monday Evenings (Mpls)
  • Tuesday Evenings (St. Paul)
  • Tuesday Evenings (Mpls)
  • Thursday Evenings (Queer Bible Study — for queer & questioning students, Mpls)

“Back to Basics” Small Group w/ Pastor Kate
Sundays @ noon | Grace Peace Chapel | Sign up by Sat., January 25!
This semester, Pastor Kate is going to lead a “Back to the Basics” small group — this will be a chance for folks (whether you’re brand new to this tradition or have been a part of it your whole life) to be in conversation with one another, to explore some basic building blocks of the Lutheran perspective on the Christian life, and to ask a lot of great questions. The goal isn’t to offer a college level class, but instead to give you some tools and frameworks to continue growing in faith. A few folks in our community are interested in exploring confirmation or baptism, and this small group will prepare you for that step. If you are already baptized and confirmed, or if you have no intention of exploring either of those – this group is also for you!